(Source)
+++
VASP calculation (PBE) on a relaxed structure of Pm4Dy6Sc.

Cell and atoms, written as POSCAR:
```
Pm4Dy6Sc
1.0
2.856 -4.801 0.000
2.856 4.801 0.000
0.000 0.000 25.665
Pm Dy Sc
8 12 2
direct
0.033 0.967 0.622
0.033 0.967 0.878
0.346 0.654 0.546
0.346 0.654 0.954
0.654 0.346 0.046
0.654 0.346 0.454
0.967 0.033 0.122
0.967 0.033 0.378
0.000 0.000 0.000
0.000 0.000 0.500
0.024 0.976 0.750
0.307 0.693 0.110
0.307 0.693 0.390
0.360 0.640 0.684
0.360 0.640 0.816
0.640 0.360 0.184
0.640 0.360 0.316
0.693 0.307 0.610
0.693 0.307 0.890
0.976 0.024 0.250
0.311 0.689 0.250
0.689 0.311 0.750
```

Properties
SG: No. 63
DFT formation energy in meV per atom: 133


*a*
DFT (PBE) results for crystalline La3TbNd at its relaxed geometry.

Cell lengths 7.919, 13.725, 6.756 Å; angles 90.00, 90.00, 90.00 degrees
Space group Cmcm (No. 63)
Inequivalent atoms, fractional coordinates:
1 La 0.000 0.199 0.250 [4 per cell]
2 La 0.202 0.400 0.250 [8 per cell]
3 Tb 0.000 0.334 0.750 [4 per cell]
4 Nd 0.000 0.000 0.000 [4 per cell]

The calculation puts the density of states at the Fermi level at 0.959 states/eV/atom.

=====

*b*
DFT (PBE) results for crystalline La3TbNd at its relaxed geometry.

Cell lengths 6.070, 9.831, 12.145 Å; angles 90.00, 90.00, 90.00 degrees
Space group Cmcm (No. 63)
Inequivalent atoms, fractional coordinates:
1 La 0.000 0.051 0.250 [4 per cell]
2 La 0.000 0.354 0.100 [8 per cell]
3 Tb 0.000 0.298 0.750 [4 per cell]
4 Nd 0.000 0.000 0.000 [4 per cell]

The calculation puts the density of states at the Fermi level at 1.509 states/eV/atom.

=====

Stability ranking, top entry: *b*; the second entry is 0.091 eV/atom less favorable.

=====

*a*
DFT (PBE) results for crystalline La3TbNd7 at its relaxed geometry.

Cell lengths 11.917, 10.356, 6.563 Å; angles 90.00, 94.46, 90.00 degrees
Space group C2/m (No. 12)
Inequivalent atoms, fractional coordinates:
1 La 0.000 0.000 0.000 [2 per cell]
2 La 0.000 0.175 0.500 [4 per cell]
3 Tb 0.000 0.500 0.000 [2 per cell]
4 Nd 0.000 0.500 0.500 [2 per cell]
5 Nd 0.239 0.000 0.714 [4 per cell]
6 Nd 0.241 0.328 0.762 [8 per cell]

The calculation puts the density of states at the Fermi level at 1.496 states/eV/atom.

=====

*b*
DFT (PBE) results for crystalline La3TbNd7 at its relaxed geometry.

Cell lengths 6.026, 11.475, 11.577 Å; angles 90.00, 90.00, 90.00 degrees
Space group Immm (No. 71)
Inequivalent atoms, fractional coordinates:
1 La 0.000 0.000 0.000 [2 per cell]
2 La 0.000 0.288 0.500 [4 per cell]
3 Tb 0.000 0.500 0.000 [2 per cell]
4 Nd 0.000 0.000 0.500 [2 per cell]
5 Nd 0.000 0.204 0.199 [8 per cell]
6 Nd 0.000 0.500 0.291 [4 per cell]

The calculation puts the density of states at the Fermi level at 1.535 states/eV/atom.

=====

Stability ranking, top entry: *a*; the second entry is 0.011 eV/atom less favorable.

=====

*a*
DFT (PBE) results for crystalline LaTb4Nd at its relaxed geometry.

Cell lengths 5.105, 6.255, 7.240 Å; angles 106.84, 90.07, 114.04 degrees
Space group P-1 (No. 2)
Inequivalent atoms, fractional coordinates:
1 La 0.000 0.000 0.000 [1 per cell]
2 Tb 0.331 0.662 0.665 [2 per cell]
3 Tb 0.332 0.665 0.167 [2 per cell]
4 Nd 0.000 0.000 0.500 [1 per cell]

The calculation puts the density of states at the Fermi level at 1.482 states/eV/atom.

=====

*b*
DFT (PBE) results for crystalline LaTb4Nd at its relaxed geometry.

Cell lengths 9.450, 9.450, 9.450 Å; angles 90.00, 90.00, 90.00 degrees
Space group F-43m (No. 216)
Inequivalent atoms, fractional coordinates:
1 La 0.000 0.000 0.000 [4 per cell]
2 Tb 0.124 0.124 0.376 [16 per cell]
3 Nd 0.250 0.250 0.750 [4 per cell]

The calculation puts the density of states at the Fermi level at 2.434 states/eV/atom.

=====

*c*
DFT (PBE) results for crystalline LaTb4Nd at its relaxed geometry.

Cell lengths 6.830, 12.136, 9.805 Å; angles 90.00, 90.00, 90.00 degrees
Space group Cmcm (No. 63)
Inequivalent atoms, fractional coordinates:
1 La 0.000 0.000 0.000 [4 per cell]
2 Tb 0.000 0.344 0.073 [8 per cell]
+++

(Assignment)
Please search the material further above for the word "group" and return each line that has it.

(Solution)
Space group Cmcm (No. 63)
Space group Cmcm (No. 63)
Space group C2/m (No. 12)
Space group Immm (No. 71)
Space group P-1 (No. 2)
Space group F-43m (No. 216)
Space group Cmcm (No. 63)